**Contents:**
'''
Computed, not measured: a relaxed CoTeSe2 crystal at the PBE level of DFT.

a b c (Å): 3.5690 3.8227 8.1757
angles (deg): 90.00 90.00 90.00
Site moments in Bohr magnetons follow the coordinates.
Fractional coordinates of all 4 atoms:
Co (0.0000, 0.5000, 0.5000)  1.81
Se (0.0000, 0.0000, 0.0000)  0.01
Se (0.5000, 0.5000, 0.0000)  0.01
Te (0.5000, 0.0000, 0.5000)  0.16

E_form (uncorrected), meV/atom: 475.7

***

Computed, not measured: a relaxed CoTeSe2 crystal at the PBE level of DFT.

a b c (Å): 7.6907 7.6907 7.6907
angles (deg): 27.59 27.59 27.59
Fractional coordinates of all 4 atoms:
Co (0.7453, 0.7453, 0.7453)
Se (0.0334, 0.0334, 0.0334)
Se (0.2379, 0.2379, 0.2379)
Te (0.4834, 0.4834, 0.4834)

E_form (uncorrected), meV/atom: 15.1

***

Computed, not measured: a relaxed Co3Te2Se2 crystal at the PBE level of DFT.

a b c (Å): 3.7848 6.3619 6.3906
angles (deg): 118.68 107.22 90.00
Site moments in Bohr magnetons follow the coordinates.
Fractional coordinates of all 7 atoms:
Co (0.0000, 0.0000, 0.0000)  0.45
Co (0.7409, 0.7721, 0.4818)  0.13
Co (0.2591, 0.2279, 0.5182)  0.13
Te (0.6302, 0.2976, 0.2604)  0.00
Te (0.3698, 0.7024, 0.7396)  0.00
Se (0.8714, 0.1975, 0.7428)  0.00
Se (0.1286, 0.8025, 0.2572)  0.00

E_form (uncorrected), meV/atom: -199.5

***

Computed, not measured: a relaxed CoTe4Se crystal at the PBE level of DFT.

a b c (Å): 6.2266 6.2266 6.2266
angles (deg): 60.00 60.00 60.00
Site moments in Bohr magnetons follow the coordinates.
Fractional coordinates of all 6 atoms:
Co (0.7500, 0.7500, 0.7500)  2.14
Te (0.8772, 0.3743, 0.3743)  -0.02
Te (0.3743, 0.3743, 0.8772)  -0.02
Te (0.3743, 0.8772, 0.3743)  -0.02
Te (0.3743, 0.3743, 0.3743)  -0.02
Se (0.0000, 0.0000, 0.0000)  -0.20

Relative energy among the computed polymorphs, eV/atom: 0.9341
E_form (uncorrected), meV/atom: 962.1

***

Computed, not measured: a relaxed CoTeSe2 crystal at the PBE level of DFT.

a b c (Å): 3.8617 3.8587 5.6171
angles (deg): 89.99 90.00 90.00
Site moments in Bohr magnetons follow the coordinates.
Fractional coordinates of all 4 atoms:
Co (0.0000, 0.0000, 0.5000)  1.46
Se (0.0000, 0.0000, 0.0000)  0.03
Se (0.5000, 0.5000, 0.0000)  -0.02
Te (0.5000, 0.5000, 0.5000)  0.00

E_form (uncorrected), meV/atom: 248.2

***

Computed, not measured: a relaxed CoTe3Se crystal at the PBE level of DFT.

a b c (Å): 5.4178 5.4178 5.4178
angles (deg): 90.00 90.00 90.00
Site moments in Bohr magnetons follow the coordinates.
Fractional coordinates of all 5 atoms:
Te (0.0000, 0.5000, 0.0000)  0.10
Te (0.0000, 0.0000, 0.5000)  0.09
Te (0.5000, 0.0000, 0.0000)  0.06
Co (0.5000, 0.5000, 0.5000)  2.22
Se (0.0000, 0.0000, 0.0000)  -0.01

Relative energy among the computed polymorphs, eV/atom: 0.6733
E_form (uncorrected), meV/atom: 1102.7

----------

No. 1
# Cr2Fe5SiB2 (PBE-GGA, optimized geometry)
data_Cr2Fe5SiB2
_chemical_formula_sum 'Cr4 Fe10 Si2 B4'
_space_group_name_H-M_alt 'P 1'
_space_group_IT_number 1
_cell_length_a 2.6959
_cell_length_b 8.4790
_cell_length_c 8.4790
_cell_angle_alpha 90.00
_cell_angle_beta 90.00
_cell_angle_gamma 90.00
loop_
_space_group_symop_operation_xyz
'x,y,z'
loop_
_atom_site_label
_atom_site_fract_x
_atom_site_fract_y
_atom_site_fract_z
Fe1 0.5000 0.5665 0.7117
Fe2 0.5000 0.2883 0.5665
Fe3 0.5000 0.5000 0.0000
Fe4 0.5000 0.0665 0.7883
Fe5 0.5000 0.2117 0.0665
Fe6 0.5000 0.4335 0.2883
Fe7 0.5000 0.7883 0.9335
Fe8 0.5000 0.9335 0.2117
Fe9 0.5000 0.7117 0.4335
Fe10 0.5000 0.0000 0.5000
Si1 0.0000 0.0000 0.0000
Si2 0.0000 0.5000 0.5000
B1 0.0000 0.3752 0.1248
B2 0.0000 0.1248 0.6248
B3 0.0000 0.6248 0.8752
B4 0.0000 0.8752 0.3752
Cr1 0.0000 0.3231 0.8231
Cr2 0.0000 0.8231 0.6769
Cr3 0.0000 0.1769 0.3231
Cr4 0.0000 0.6769 0.1769
# Formation energy from raw total energies = -303 meV per atom
# Magnetic moment = 0.07 μB/atom
# Crystal system = tetragonal

***

No. 2
# CrFe5Tc2B2 (PBE-GGA, optimized geometry)
data_CrFe5Tc2B2
_chemical_formula_sum 'Cr2 Fe10 Tc4 B4'
_space_group_name_H-M_alt 'P 1'
_space_group_IT_number 1
_cell_length_a 2.7775
'''

**What to do:**
It remains to search the data above for the word "DFT" and transcribe each line that has it.

**Solution:**
Computed, not measured: a relaxed CoTeSe2 crystal at the PBE level of DFT.
Computed, not measured: a relaxed CoTeSe2 crystal at the PBE level of DFT.
Computed, not measured: a relaxed Co3Te2Se2 crystal at the PBE level of DFT.
Computed, not measured: a relaxed CoTe4Se crystal at the PBE level of DFT.
Computed, not measured: a relaxed CoTeSe2 crystal at the PBE level of DFT.
Computed, not measured: a relaxed CoTe3Se crystal at the PBE level of DFT.